Now find "-1.7061 0.4" and "-0.57" in the material underneath, and print these two lines and those between.

=====
1.
10
Properties=species:S:1:pos:R:3:forces:R:3:lowdin_charge:R:1 method="wB97M-V/def2-TZVPD" e_above_lowest_ev=4.906 largest_force_ev_per_a=4.48 gap_ev=10.24
C 1.3448 -0.4100 -0.2391 0.7 3.3 2.1 -0.01
O 0.1452 0.2660 0.2274 -0.1 -1.0 1.1 -0.10
C -0.6436 0.7583 -0.7062 -3.8 2.4 0.1 -0.40
N -2.2626 0.6801 -0.6283 2.6 3.1 -0.9 0.09
O -1.3954 0.0303 -1.5694 1.1 -1.4 -1.6 -0.07
H 1.4819 -1.1979 0.4923 0.1 -0.7 -0.8 0.09
H 2.2024 0.3614 -0.0272 -1.3 -1.5 -0.8 0.12
H 1.1387 -0.5309 -1.2708 0.8 -1.2 -1.0 0.08
H -0.3665 1.7968 -1.0537 -0.3 -1.1 0.1 0.17
H -2.6534 -0.0428 -0.1033 0.1 -1.8 1.7 0.05

2.
10
Properties=species:S:1:pos:R:3:forces:R:3:lowdin_charge:R:1 method="wB97M-V/def2-TZVPD" e_above_lowest_ev=7.589 largest_force_ev_per_a=4.65 gap_ev="8.57 / 7.88"
N -0.4071 -0.9133 -0.6612 -1.1 2.6 -1.1 -0.19
C -0.2874 -0.0830 0.8337 -4.2 -1.4 -1.3 -0.18
C 0.6064 0.9400 0.9327 1.7 1.3 -0.3 0.03
O -1.3229 -0.1851 -1.2912 2.2 -2.5 0.0 -0.13
O 0.7740 -1.0152 -1.4113 -0.2 -0.3 0.2 -0.02
H 0.4840 -0.8918 -2.3331 -0.1 0.1 0.3 0.11
H -1.3389 0.1950 0.3446 1.4 0.3 2.3 0.14
H -0.4606 -0.7481 1.6753 0.3 -0.2 -0.1 0.10
H 0.9956 1.2799 1.8824 0.2 -0.2 0.0 0.06
H 0.9568 1.4217 0.0282 -0.1 0.2 0.1 0.07

3.
10
Properties=species:S:1:pos:R:3:forces:R:3:lowdin_charge:R:1 method="wB97M-V/def2-TZVPD" e_above_lowest_ev=5.242 largest_force_ev_per_a=3.25 gap_ev=7.80
C 1.5149 0.3147 -0.2645 0.8 1.2 0.7 -0.05
C 0.1900 0.4434 0.0966 0.0 -0.3 -1.3 -0.49
O -0.5312 1.5699 0.0894 0.0 -0.7 0.2 0.12
N -0.3970 -0.7866 0.1207 1.2 0.6 0.0 -0.05
O -1.8380 -0.7676 0.1766 0.9 -0.5 -0.1 -0.03
H 2.0056 1.1143 -0.7989 -0.1 0.3 0.2 0.04
H 2.1615 -0.2566 0.3850 0.0 -0.4 -0.1 0.04
H -1.4698 1.3353 0.1881 0.1 0.0 -0.2 0.11
H 0.5236 -1.2990 -0.3094 -3.2 -0.2 0.3 0.21
H -2.1595 -1.6678 0.3165 0.4 0.0 0.2 0.10

4.
10
Properties=species:S:1:pos:R:3:forces:R:3:lowdin_charge:R:1 method="wB97M-V/def2-TZVPD" e_above_lowest_ev=4.878 largest_force_ev_per_a=4.47 gap_ev="7.74 / 8.72" spin_multiplicity=3
C 0.2281 -0.1499 1.5116 0.8 2.2 1.8 -0.11
C 0.0449 -0.8170 0.4332 1.5 2.4 2.3 -0.02
N 0.8943 -0.4411 -1.5745 3.5 2.8 -0.4 0.07
O -0.4151 1.3628 -2.2039 -1.5 0.6 -0.4 -0.04
O 0.8482 0.8928 -1.7700 0.3 -1.3 1.0 -0.16
H -0.3112 -0.3960 2.4231 -0.3 -0.2 0.2 0.04
H 0.8766 0.7749 1.7093 -0.6 -1.4 -0.8 0.07
H -0.5322 -1.5986 0.2328 -2.2 -3.3 -1.1 0.00
H 0.2947 -0.9497 -2.1316 -2.5 -0.7 -2.1 0.03
H -0.7451 2.0011 -1.5110 1.0 -1.0 -0.5 0.13

5.
11
Properties=species:S:1:pos:R:3:forces:R:3:lowdin_charge:R:1 method="wB97M-V/def2-TZVPD" total_charge=-1 e_above_lowest_ev=1.863 largest_force_ev_per_a=9.82 gap_ev=7.57
C -1.6839 -0.7576 0.8018 -0.4 0.6 -3.4 -0.09
C -0.9850 -0.3347 -0.2391 2.9 0.3 0.4 -0.23
P 0.8126 0.0284 0.2409 2.6 -6.4 -7.0 0.41
N 1.1939 1.3482 -0.7622 -1.6 -0.6 2.1 -0.10
O 1.6903 -1.4200 -0.5485 -3.3 5.2 2.6 -0.69
O 1.0810 0.2639 1.6342 0.0 1.0 2.9 -0.38
H -2.6599 -1.0532 0.6471 -2.2 -0.8 0.0 0.01
H -1.2505 -0.9001 1.7032 1.3 0.0 2.9 0.00
H -1.1532 -0.3619 -1.3402 -0.5 0.2 1.2 0.07
H 1.7896 2.0530 -0.4310 0.9 0.7 0.2 0.01
H 1.1652 1.1339 -1.7061 0.4 -0.2 -1.9 -0.01

6.
11
Properties=species:S:1:pos:R:3:forces:R:3:lowdin_charge:R:1 method="wB97M-V/def2-TZVPD" total_charge=+1 e_above_lowest_ev=4.333 largest_force_ev_per_a=3.12 gap_ev=8.29
C -0.6570 0.7618 0.1858 1.2 -0.6 0.5 -0.14
C 0.0511 -0.5991 0.4198 0.3 -0.3 0.5 -0.17
N 2.1991 0.1982 2.1564 0.9 0.5 1.2 -0.05
O 3.3100 0.3033 2.4693 -0.4 -0.2 -0.3 0.11
O 0.5868 1.5722 0.2052 -0.3 1.8 -0.1 -0.25
P 1.5922 0.3896 0.4026 -2.8 -0.7 1.2 1.01
H -1.2849 0.9493 -0.6655 0.1 0.0 -0.5 0.13
H -1.1228 1.0053 1.0989 -1.1 0.4 0.7 0.11
H -0.3686 -1.0858 1.3258 0.9 0.1 -0.5 0.12
H 0.2250 -1.3051 -0.3630 -0.9 -0.6 -0.8 0.08
H 2.1574 0.3576 -0.7887 1.9 -0.5 -1.9 0.04

7.
11
Properties=species:S:1:pos:R:3:forces:R:3:lowdin_charge:R:1 method="wB97M-V/def2-TZVPD" e_above_lowest_ev=3.379 largest_force_ev_per_a=1.91 gap_ev=9.90
C 1.0688 1.0156 -0.1384 -0.2 -0.8 1.7 -0.57
C 0.3572 1.9143 -0.7684 -1.6 0.7 -0.7 0.01
N -1.3765 -1.5428 0.6712 0.2 -0.4 1.4 0.00
=====

H 1.1652 1.1339 -1.7061 0.4 -0.2 -1.9 -0.01

6.
11
Properties=species:S:1:pos:R:3:forces:R:3:lowdin_charge:R:1 method="wB97M-V/def2-TZVPD" total_charge=+1 e_above_lowest_ev=4.333 largest_force_ev_per_a=3.12 gap_ev=8.29
C -0.6570 0.7618 0.1858 1.2 -0.6 0.5 -0.14
C 0.0511 -0.5991 0.4198 0.3 -0.3 0.5 -0.17
N 2.1991 0.1982 2.1564 0.9 0.5 1.2 -0.05
O 3.3100 0.3033 2.4693 -0.4 -0.2 -0.3 0.11
O 0.5868 1.5722 0.2052 -0.3 1.8 -0.1 -0.25
P 1.5922 0.3896 0.4026 -2.8 -0.7 1.2 1.01
H -1.2849 0.9493 -0.6655 0.1 0.0 -0.5 0.13
H -1.1228 1.0053 1.0989 -1.1 0.4 0.7 0.11
H -0.3686 -1.0858 1.3258 0.9 0.1 -0.5 0.12
H 0.2250 -1.3051 -0.3630 -0.9 -0.6 -0.8 0.08
H 2.1574 0.3576 -0.7887 1.9 -0.5 -1.9 0.04

7.
11
Properties=species:S:1:pos:R:3:forces:R:3:lowdin_charge:R:1 method="wB97M-V/def2-TZVPD" e_above_lowest_ev=3.379 largest_force_ev_per_a=1.91 gap_ev=9.90
C 1.0688 1.0156 -0.1384 -0.2 -0.8 1.7 -0.57